video: On July 5, 2017, the Solar Dynamics Observatory watched an active region -- an area of intense and complex magnetic fields -- rotate into view. During its 13-day trip across the face of the Sun, the active region put on a show for several NASA Sun-watching satellites, producing several solar flares, a coronal mass ejection and a solar energetic particle event. view more
____________
<P>
{
  "formula": "C3H3N2OP",
  "method": "ωB97M-V/def2-TZVPD",
  "lumo_energy_ha": [-0.0207, -0.0207],
  "charge": 0,
  "multiplicity": 1,
  "symbols": ["C", "C", "C", "N", "N", "O", "P", "H", "H", "H"],
  "positions_angstrom": [[0.01131, -1.21775, -0.01798], [0.65726, 1.18359, -0.02397], [-0.80568, -0.10968, -0.08650], [1.38631, -1.03377, -0.10916], [1.61813, 0.30041, 0.05783], [-3.36811, -0.31371, 0.15777], [-2.36085, 0.70260, -0.09843], [-0.33079, -2.13567, -0.20648], [0.59926, 2.25116, 0.24821], [2.59317, 0.37282, 0.07870]]
}

<Q>
{
  "formula": "C3H3N2OP",
  "method": "ωB97M-V/def2-TZVPD",
  "lumo_energy_ha": [-0.0231, -0.1467],
  "charge": 0,
  "multiplicity": 1,
  "symbols": ["C", "C", "C", "N", "N", "O", "P", "H", "H", "H"],
  "positions_angstrom": [[-2.12691, 0.86325, 0.75762], [-1.22907, 1.72161, -1.66083], [2.14233, -2.16209, 0.31099], [-2.78610, 0.21096, 1.38616], [-1.47166, 1.29190, -2.68614], [-0.51656, 2.93699, 0.67391], [-0.62811, 1.64620, 0.07211], [3.24256, -2.61552, 0.33972], [1.91775, -1.07796, 0.15151], [1.45576, -2.81533, 0.65494]]
}
____________
-- Back to the page --
Credit: NASA's Goddard Space Flight Center/SDO/SOHO/CCMC/SWRC/Genna Duberstein, producer
On July 5, 2017, NASA's Solar Dynamics Observatory watched an active region -- an area of intense and complex magnetic fields -- rotate into view on the Sun. The satellite continued to track the region as it grew and eventually rotated across the Sun and out of view on July 17.
With their complex magnetic fields, sunspots are often the source of interesting solar activity:
During its 13-day trip across the face of the Sun, the active region -- dubbed AR12665 -- put on a show for NASA's Sun-watching satellites, producing several solar flares, a coronal mass ejection and a solar energetic particle event. Watch the video below to learn how NASA's satellites tracked the sunspot over the course of these two weeks.
Such sunspots are a common occurrence on the Sun, but less frequent at the moment, as the Sun is moving steadily toward a period of lower solar activity called solar minimum -- a regular occurrence during its approximately 11-year cycle. Scientists track such spots because they can help provide information about the Sun's inner workings. Space weather centers, such as NOAA's Space Weather Prediction Center, also monitor these spots to provide advance warning, if needed, of the radiation bursts being sent toward Earth, which can impact our satellites and radio communications.
On July 9, a medium-sized flare burst from the sunspot, peaking at 11:18 a.m. EDT. Solar flares are explosions on the Sun that send energy, light and high-speed particles out into space -- much like how earthquakes have a Richter scale to describe their strength, solar flares are also categorized according to their intensity. This flare was categorized as an M1. M-class flares are a tenth the size of the most intense flares, the X-class flares. The number provides more information about its strength: An M2 is twice as intense as an M1, an M3 is three times as intense and so on.
Days later, on July 14, a second medium-sized, M2 flare erupted from the Sun. The second flare was long-lived, peaking at 10:09 a.m. EDT and lasting over two hours.
This was accompanied by another kind of solar explosion called a coronal mass ejection, or CME. Solar flares are often associated with CMEs -- giant clouds of solar material and energy. NASA's Solar and Heliospheric Observatory, or SOHO, saw the CME at 9:36 a.m. EDT leaving the Sun at speeds of 620 miles per second and eventually slowing to 466 miles per second.
Following the CME, the turbulent active region also emitted a flurry of high-speed protons, known as a solar energetic particle event, at 12:45 p.m. EDT.
Research scientists at the Community Coordinated Modeling Center -- located at NASA's Goddard Space Flight Center in Greenbelt, Maryland -- used these spacecraft observations as input for their simulations of space weather throughout the solar system. Using a model called ENLIL, they are able to map out and predict whether the solar storm will impact our instruments and spacecraft, and send alerts to NASA mission operators if necessary.
These quantum chemistry results were left in the article by mistake.
Computed, not measured: an isolated ion of composition C6H11N2 and charge +1, with wB97M-V/def2-TZVPD.

Geometry as XYZ:
```
19
Properties=species:S:1:pos:R:3
N -0.6419 1.5946 -0.0156
N -1.5180 0.6434 1.8925
C 0.9183 -2.0683 0.9040
C -0.7759 0.6716 0.7876
C 0.1917 0.2601 -1.9535
C 0.0021 1.5899 -1.3969
C 1.0022 -0.7675 0.1537
C 0.5968 -0.7912 -1.2670
H 0.4256 -2.8983 0.4571
H 0.7083 -1.7765 -1.6067
H 2.0338 -2.3422 0.8503
H -0.3041 0.1071 -2.8404
H -1.1627 2.5021 0.0820
H 1.3933 0.0477 0.6890
H -2.1157 1.2838 2.4240
H 0.6591 -1.9247 1.9224
H -0.7027 2.0052 -2.0173
H 0.9274 2.1300 -1.4080
H -1.6377 -0.2668 2.3427
```

As for the net charge: +1. The orbital gap is 8.6 eV. The value obtained for the LUMO energy is -4.6 eV.
By the time the CME made contact with Earth's magnetic field on July 16, the sunspot's journey across the Sun was almost complete. As for the solar storm, it took this massive cloud of solar material two days to travel 93 million miles to Earth, where it caused charged particles to stream down Earth's magnetic poles, sparking enhanced aurora.